You hear that chilling radio call in your helmet earphones as adrenalin floods your system, sending your heart racing as you slam the stick hard over and go to full power... Golf ball sized red tracers flash past your canopy as a Russian built MiG fighter streaks by you...
Attached: data records =
~~~
A plane-wave DFT calculation with PBE-GGA was carried out for NaLiMg6 after structural relaxation. Values from VASP.

Geometry as Quantum ESPRESSO input:
```
&SYSTEM
  ibrav = 0, nat = 16, ntyp = 3
/
ATOMIC_SPECIES
Na 22.99 Na.upf
Mg 24.30 Mg.upf
Li 6.94 Li.upf
CELL_PARAMETERS angstrom
-1.1913 -4.6583 2.1886
5.6644 -2.3139 -1.8418
4.5177 3.3783 9.6497
ATOMIC_POSITIONS crystal
Na 0.5000 0.0000 0.6667
Na 0.5000 0.5000 0.1667
Mg 0.0000 0.7526 0.0830
Mg 0.5000 0.2498 0.9167
Mg 0.0000 0.5000 0.3345
Mg 0.0000 0.0000 0.8345
Mg 0.0000 0.0000 0.3327
Mg 0.0000 0.2474 0.0830
Mg 0.0000 0.7474 0.5830
Mg 0.5000 0.7498 0.4167
Mg 0.5000 0.2502 0.4167
Mg 0.0000 0.5000 0.8327
Mg 0.5000 0.7502 0.9167
Mg 0.0000 0.2526 0.5830
Li 0.5000 0.5000 0.6667
Li 0.5000 0.0000 0.1667
```

Computed properties:
The offset from the most stable computed form is 0.0028 eV per atom. Its calculated formation energy is 0.044 eV per atom.

A plane-wave DFT calculation with PBE-GGA was carried out for NaLiMg14O15 after structural relaxation. Values from VASP.

Geometry as Quantum ESPRESSO input:
```
&SYSTEM
  ibrav = 0, nat = 31, ntyp = 4
/
ATOMIC_SPECIES
Na 22.99 Na.upf
Li 6.94 Li.upf
Mg 24.30 Mg.upf
O 16.00 O.upf
CELL_PARAMETERS angstrom
4.2861 0.0000 0.0000
0.0000 8.5880 0.0000
0.0000 0.0000 8.5463
ATOMIC_POSITIONS crystal
Na 0.0000 0.0000 0.0000
Li 0.0000 0.5000 0.0185
Mg 0.0000 0.0000 0.4941
Mg 0.0000 0.2273 0.7537
Mg 0.0000 0.2504 0.2348
Mg 0.0000 0.5000 0.4750
Mg 0.0000 0.7496 0.2348
Mg 0.0000 0.7727 0.7537
Mg 0.5000 0.0000 0.2399
Mg 0.5000 0.0000 0.7515
Mg 0.5000 0.2504 0.4968
Mg 0.5000 0.2534 0.9943
Mg 0.5000 0.5000 0.2297
Mg 0.5000 0.5000 0.7564
Mg 0.5000 0.7466 0.9943
Mg 0.5000 0.7496 0.4968
O 0.0000 0.0000 0.2618
O 0.0000 0.0000 0.7303
O 0.0000 0.2625 0.5081
O 0.0000 0.2675 0.9862
O 0.0000 0.5000 0.2481
O 0.0000 0.7325 0.9862
O 0.0000 0.7375 0.5081
O 0.5000 0.0000 0.4993
O 0.5000 0.0000 0.9927
O 0.5000 0.2530 0.2473
O 0.5000 0.2583 0.7448
O 0.5000 0.5000 0.5125
O 0.5000 0.5000 0.9872
O 0.5000 0.7417 0.7448
O 0.5000 0.7470 0.2473
```

Computed properties:
The offset from the most stable computed form is 0.0039 eV per atom. Its calculated formation energy is -2.819 eV per atom.

~~~~~

The following is a DFT calculation (GGA+U) of an optimized crystal structure of CaLa2Co2Sb2Pb2O12.

## Properties
Formation energy from the elements ... -2.152 eV/atom
E_tot ... -6.4198 eV per atom
ΔE to the lowest computed polymorph ... 61 meV per atom
Volume ... 308.01 Å³/cell
Magnetic moment ... 4.00 μB per formula unit

Structure (extended XYZ):
```
21
Lattice="5.793 0.000 0.000 -0.406 5.868 0.000 -0.128 -0.877 9.060" Properties=species:S:1:pos:R:3 pbc="T T T"
Ca 0.000 0.000 0.000
La 3.031 5.210 2.775
La 5.484 1.710 6.819
Co 0.438 3.560 1.167
Co 2.938 1.707 4.931
Sb -0.097 4.635 4.923
Sb 3.117 2.137 0.465
Pb 0.567 1.647 3.054
Pb 2.487 4.191 7.063
O -0.344 4.428 2.909
O 0.104 5.074 6.883
O 1.100 3.018 5.229
O 1.363 2.028 8.537
O 1.996 0.522 1.026
O 2.006 -0.080 4.634
O 2.385 3.140 2.036
~~~
End of the data records =
Experience the rush of a MiG combat encounter for yourself in Steve Dixon and Bob Best's latest addition to their popular SKYHAWK-Rolling Thunder, 1966 game. Note that Skyhawk is not needed to play Thunderchief. Thunderchief is a stand-alone game.
THUNDERCHIEF puts the player in the cockpit of an F-105D Thunderchief fighter bomber flying missions with the 355th Tactical Fighter Wing. The 355th TFW was assigned to Takhli RTAB where the USAF operated as "guests" of the Republic of Thailand. The 355th TFW flew missions from late 1965 until the Rolling Thunder Campaign ended in 1968. Fighter pilots were rotated into the wing's fighter squadrons where they would fly 100 missions and then rotated home. You play as an Air Force pilot flying strike missions against targets in North Vietnam.
THUNDERCHIEF expands the Player's ability to fight a detailed air-to-air, one-on-one Dog Fight against a Vietnamese Air Force MiG Fighter. A New Mission has been created - Close Escort MiGCAP, where you are hunting MiG Fighters and protecting the vulnerable bombers. This NEW Combat System takes the basic abstracted "MiG encounter" found in the original SKYHAWK game and adds a new dimension to it. Aerial Engagements are NOW fought in Combat Rounds. During each Combat Round only the Advantaged Fighter can fire its guns or missiles at their opponent. Your Fighter can end the combat round in one of three conditions; disadvantaged, advantaged or in a neutral position to begin the next round of combat. You must be advantaged to engage in combat!
THUNDERCHIEF also expands on the generic skill levels for your pilots that is found in the Original SKYHAWK Rolling Thunder game. A NEW, more immersive Character generation and "Pilot School" module has been added to the game. There are new skill levels and pilot characteristics that give each pilot in your squadron their own individual abilities and skills.
The New Combat System and Pilot School modules gives Thunderchief a whole new feel. You can now equip your Thunderchief with heat seeking Sidewinder air-to-air missiles, or use your guns for close in combat. Can you shoot down a MiG and earn a Silver Star for your victory? Find out in THUNDERCHIEF.
THUNDERCHIEF also contains a NEW US Air Force Campaign Game that shows the USAF's involvement in the Rolling Thunder Bombing Campaign. The game features the USAF F-105 Thunderchief that can be flown in either the NEW fighter vs fighter role or in the traditional bomber role.
For those players that own SKYHAWK, counters and player aids have been provided as an upgrade kit to allow players to use the Pilot School and Mig Encounter rules from Thunderchief."
More great solitaire air wargames by Steve Dixon.
